A photo of the early sunrise on the Lagginhorn

Simon Heimlicher

– Leadership & organizational transformation

Great leaders are not born — they are shaped by the challenges they face and grow thanks to the insights they gain. While the challenges show up themselves, insights must be acquired deliberately.

The crux with growing as a leader is that there is an overwhelming amount of literature, education and tips – yet when it comes to incorporating and applying new insights, we rely on our personal experience and judgment. Indeed, leaders develop their views on effective leadership based on how they felt when they were led and then either do the same thing or the polar opposite.

[What comes next are crystal structures, not part of the text]
- - -
Na3PrS | GGA-PBE | optimized geometry

```
Na3PrS
1.0
-5.095 2.292 -2.897
0.632 -4.321 -4.531
-3.639 -3.959 3.268
Pr Na S
1 3 1
direct
0.000 0.000 0.000
0.000 0.500 0.000
0.500 0.000 0.000
0.000 0.000 0.500
0.500 0.500 0.500
```

Output
Its total energy is -1.5155 eV per atom. As for the symmetry: Pm-3m (221). Its crystal system is cubic.

***

NaPrZnS3 | GGA-PBE | optimized geometry

```
NaPrZnS3
1.0
6.451 -2.015 0.000
6.451 2.015 0.000
0.000 0.000 11.053
S Pr Zn Na
6 2 2 2
direct
0.639 0.639 0.580
0.361 0.361 0.080
0.639 0.639 0.920
0.361 0.361 0.420
0.077 0.077 0.250
0.923 0.923 0.750
0.000 0.000 0.000
0.000 0.000 0.500
0.533 0.533 0.750
0.467 0.467 0.250
0.752 0.752 0.250
0.248 0.248 0.750
```

Output
As for the symmetry: Cmcm (63). Its crystal system is orthorhombic. The value obtained for the energy above the most stable polymorph in this dataset is 32.1 meV per atom.

***

NaPrZnS3 | GGA-PBE | optimized geometry

```
NaPrZnS3
1.0
8.091 0.000 0.000
0.000 4.055 0.000
0.000 0.000 16.109
Zn S Pr Na
4 12 4 4
direct
0.135 0.750 0.358
0.865 0.250 0.642
0.365 0.250 0.858
0.635 0.750 0.142
0.500 0.250 0.090
0.313 0.250 0.720
0.374 0.750 0.441
0.687 0.750 0.280
0.626 0.250 0.559
0.126 0.250 0.941
0.000 0.750 0.590
0.500 0.750 0.910
0.000 0.250 0.410
0.874 0.750 0.059
0.813 0.250 0.780
0.187 0.750 0.220
0.738 0.750 0.450
0.262 0.250 0.550
0.238 0.750 0.050
0.762 0.250 0.950
0.073 0.750 0.772
0.427 0.250 0.272
0.573 0.750 0.728
0.927 0.250 0.228
```

Output
As for the symmetry: Pnma (62). Its crystal system is orthorhombic. The value obtained for the energy above the most stable polymorph in this dataset is 50.5 meV per atom.

***

NaPrZnS3 | GGA-PBE | optimized geometry

```
NaPrZnS3
1.0
7.801 0.000 0.000
0.000 4.020 0.000
-2.164 0.000 9.474
Na Pr S Zn
2 2 6 2
direct
0.748 0.250 0.765
0.252 0.750 0.235
0.202 0.250 0.632
0.798 0.750 0.368
0.047 0.250 0.342
0.537 0.250 0.332
0.282 0.250 0.953
0.953 0.750 0.658
0.463 0.750 0.668
0.718 0.750 0.047
0.576 0.250 0.103
0.424 0.750 0.897
```

Output
As for the symmetry: P2_1/m (11). Its crystal system is monoclinic. The value obtained for the energy above the most stable polymorph in this dataset is 46.1 meV per atom.

----------

# 1
This record from Alexandria describes a relaxed In3SiAs crystal. The functional is PBE.

abc: 5.156 5.156 5.156
angles: 90.00 90.00 90.00
Atoms (fractional coordinates):
As1 0.500 0.500 0.500
Si1 0.000 0.000 0.000
In1 0.000 0.500 0.000
In2 0.000 0.000 0.500
In3 0.500 0.000 0.000

Properties
Its total energy is -0.2363 Ry/atom. The value obtained for the uncorrected formation energy is 442 meV per atom. The density of states at the Fermi level comes out at 1.3 states/eV/cell. The energy above the most stable polymorph in this dataset comes out at 0 meV per atom. For the volume, the calculation gives 27.414 Å³/atom.


# 2
This record from Alexandria describes a relaxed Ca7C5 crystal. The functional is PBE.

abc: 6.734 6.734 6.734
angles: 110.49 110.49 107.45
- - -

However, this method of growth is limited to the diversity and quality of leadership the leader is exposed to, and there is a tendency for organizations to get stuck in a loop.

For example, once a leader is labeled a micromanager, they might become hesitant to hold the members of their team to account. Once a member of their team is a leader themselves, they will strive to avoid this label. These cycles crystallize into recognizable patterns, or leadership styles, and impact the performance of organizations.

Broadening our perspectives to include leaders in vastly different environments can accelerate our growth and introduce us to alternative approaches to leadership.

Two models of leadership I find effective are intent-based leadership and leadership based on freedom and responsibility and challenge traditional paradigms.

/*
1.
Crystalline Tb2Ga3HgPt4 at its relaxed geometry. Source: Alexandria via LeMat-Bulk, functional PBE.

Properties
For the total moment, the calculation gives 0.00 Bohr magnetons per cell. For the formation enthalpy at 0 K, the calculation gives -0.8409 eV/atom. The symmetry is P-4m2, No. 115.

Lattice parameters (Å, degrees): 4.0648 4.0648 11.8036 90.00 90.00 90.00
Closest atoms and distances in Å follow each position.
Fractional coordinates of all 10 atoms:
1 Pt 0.5000 0.5000 0.0000  4 Ga 2.53
2 Tb 0.0000 0.5000 0.7510  4 Pt 3.05, 4 Ga 3.21
3 Pt 0.0000 0.0000 0.0000  4 Ga 2.53
4 Pt 0.5000 0.0000 0.6656  1 Ga 2.44
5 Ga 0.0000 0.5000 0.1278  5 Pt 2.44-2.53
6 Ga 0.5000 0.0000 0.8722  5 Pt 2.44-2.53
7 Pt 0.0000 0.5000 0.3344  1 Ga 2.44
8 Tb 0.5000 0.0000 0.2490  4 Pt 3.05, 4 Ga 3.21
9 Hg 0.5000 0.5000 0.5000  4 Pt 2.82, 4 Ga 2.87
10 Ga 0.0000 0.0000 0.5000  4 Pt 2.82, 4 Hg 2.87


2.
Crystalline Th2Ga3HgPt4 at its relaxed geometry. Source: Alexandria via LeMat-Bulk, functional PBE.

Properties
For the total moment, the calculation gives 0.00 Bohr magnetons per cell. For the formation enthalpy at 0 K, the calculation gives -0.8398 eV/atom. The symmetry is P-4m2, No. 115.

Lattice parameters (Å, degrees): 4.1192 4.1192 11.8287 90.00 90.00 90.00
Closest atoms and distances in Å follow each position.
Fractional coordinates of all 10 atoms:
1 Pt 0.5000 0.5000 0.0000  4 Ga 2.53
2 Pt 0.5000 0.0000 0.6660  1 Ga 2.48
3 Th 0.0000 0.5000 0.7585  4 Pt 3.11, 4 Ga 3.22
4 Hg 0.5000 0.5000 0.5000  4 Pt 2.85, 4 Ga 2.91
5 Ga 0.5000 0.0000 0.8754  5 Pt 2.48-2.53
6 Th 0.5000 0.0000 0.2415  4 Pt 3.11, 4 Ga 3.22
7 Ga 0.0000 0.5000 0.1246  5 Pt 2.48-2.53
8 Pt 0.0000 0.5000 0.3340  1 Ga 2.48
9 Pt 0.0000 0.0000 0.0000  4 Ga 2.53
10 Ga 0.0000 0.0000 0.5000  4 Pt 2.85, 4 Hg 2.91


3.
Crystalline TlGa2HgPt at its relaxed geometry. Source: Alexandria via LeMat-Bulk, functional PBE.

Properties
For the total moment, the calculation gives 0.00 Bohr magnetons per cell. For the formation enthalpy at 0 K, the calculation gives -0.1570 eV/atom. As for the offset from the most stable computed form: 0.003 eV/atom. The symmetry is P4/mmm, No. 123.

Lattice parameters (Å, degrees): 4.8437 4.8437 5.6445 90.00 90.00 90.00
Closest atoms and distances in Å follow each position.
Fractional coordinates of all 5 atoms:
1 Ga 0.0000 0.5000 0.0000  2 Pt 2.42
2 Hg 0.5000 0.5000 0.5000  4 Tl 3.43, 8 Ga 3.72
3 Pt 0.0000 0.0000 0.0000  4 Ga 2.42
4 Tl 0.0000 0.0000 0.5000  2 Pt 2.82
5 Ga 0.5000 0.0000 0.0000  2 Pt 2.42


4.
Crystalline Tl2GaHgPt at its relaxed geometry. Source: Alexandria via LeMat-Bulk, functional PBE.

Properties
For the total moment, the calculation gives 0.00 Bohr magnetons per cell. For the formation enthalpy at 0 K, the calculation gives -0.0827 eV/atom. The symmetry is P4/mmm, No. 123.

Lattice parameters (Å, degrees): 5.4424 5.4424 4.8621 90.00 90.00 90.00
Closest atoms and distances in Å follow each position.
Fractional coordinates of all 5 atoms:
*/

L. David Marquet brought forth a leadership model that moves away from the traditional leader-follower dynamic. In the high-pressure environment of a submarine, he felt incredibly exposed to the skills but also the way his fellow crew members employed – or ignored – these skills aboard the USS Santa Fe.

In his book Turn the Ship Around!, Marquet reveals how giving control, rather than taking it, and focusing on competence and clarity can unlock individual potential. This fosters a culture of continuous learning and improvement.

Dive deeper into these transformative ideas with practical tools and techniques for implementing intent-based leadership.

From Netflix’s journey, we learn the importance of treating employees as powerful adults. In her book Powerful, Patty McCord discusses how a culture based on freedom and responsibility can yield astonishing results.

In particular, McCord walks us through Netflix’s radical corporate culture, emphasizing the fact that people do not need to be empowered. All an organization needs to do is to stop seizing power from the people they hire.

Discover more about building trust and autonomy in the workplace and what a critical role open and honest feedback plays at Netflix.

What sets great organizations apart? The ability to focus, align and boldly move toward their goals.

The operative words here are focus and goals. I have yet to see an organization whose leaders think that they lack goals or a strategy. What is rare, though, are organizations that achieve their goals and realize the benefits promised by their strategy. To evaluate whether the promised impact has been achieved exceeds the capacity of most organizations, as their focus is already on the projects that have been launched by promising even more benefits.

In the modern business landscape, strategic choices are crucial. Deciding, what to do is easy. What is hard is to decide, what not to do.

In my experience, Objectives and Key Results (OKRs) are a powerful tool to facilitate choices coherent with the strategy at all levels of the organization.

Objectives and Key Results (OKRs) have been successfully implemented by tech industry giants like Google, LinkedIn, and Twitter. But you probably already knew that.

Even if you have looked at OKRs before, I invite you to take a fresh perspective and as I want to share with you, how OKRs fuel employee engagement.

Embarking on an organizational transformation demands courage, vision and clarity.

Every individual deserves to have clarity regarding the following three key questions:

  1. What do you expect from me?
  2. How do you see my performance relative to these expectations?
  3. What does my future hold?

While OKRs answer the first question, numbers two and three are at best answered partially by OKRs and belong to the separate realm of performance management.

# Next to the piece, the page also holds calculated crystals
........
# 1
VASP calculation (PBE) on an optimized crystal structure of YBe2.

Structure (POSCAR):
```
YBe2
1.0
-1.9329 1.9329 6.7579
1.9329 -1.9329 6.7579
1.9329 1.9329 -6.7579
Y Be
2 4
Cartesian
1.9329 0.9664 1.6895
0.0000 0.9664 5.0684
1.9329 -0.9664 3.9335
1.9329 -0.9664 6.2033
0.0000 2.8993 0.5546
0.0000 2.8993 2.8244
```

Values from the calculation:
space-group type	I4_1/amd
energy of formation	0.134	eV per formula unit
magnetization	0.00	μB per formula unit
DFT total energy	-4.594	eV per atom

=====

# 2
VASP calculation (PBE) on an optimized crystal structure of Pm3Y3Tm8.

Structure (POSCAR):
```
Pm3Y3Tm8
1.0
-2.7993 5.3985 7.4430
2.7993 -5.3985 7.4430
2.7993 5.3985 -7.4430
Pm Y Tm
3 3 8
Cartesian
0.0000 0.0000 0.0000
2.7993 0.0000 2.7556
0.0000 5.3985 4.6873
2.7993 2.1803 0.0000
0.0000 0.0000 7.4430
0.0000 3.2181 7.4430
2.7993 3.6661 -3.3023
2.7993 -1.6912 5.9091
0.0000 1.7324 4.1407
0.0000 3.7073 1.5339
2.7993 1.6912 5.9091
2.7993 3.6661 3.3023
0.0000 7.0897 1.5339
0.0000 1.7324 10.7453
```

Values from the calculation:
distance to the lowest polymorph of the same formula	0	meV per atom
space-group type	Immm
energy of formation	1.619	eV per formula unit
magnetization	0.00	μB per formula unit
DFT total energy	-4.843	eV per atom

=====

# 3
VASP calculation (PBE) on an optimized crystal structure of Pm2Pr2Os.

Structure (POSCAR):
```
Pm2Pr2Os
1.0
3.8049 -6.1531 0.0000
3.8049 6.1531 0.0000
-3.2327 0.0000 6.8450
Pm Pr Os
4 4 2
Cartesian
0.9724 3.3867 5.0966
3.4047 3.3867 1.7483
0.9724 -3.3867 5.0966
3.4047 -3.3867 1.7483
-0.0818 0.0000 4.0664
1.7752 0.0000 0.6885
2.6019 0.0000 6.1565
4.4589 0.0000 2.7785
2.1886 1.5780 3.4225
2.1886 -1.5780 3.4225
```

Values from the calculation:
........

OKRs act as your compass, guiding you through unfamiliar territory, ensuring alignment and promoting adaptability. Ready for deeper insights? Explore the articles above and begin your transformation journey.

A photo of the early sunrise on the Lagginhorn